The sporting facilities at Perry Lakes were built for the 1962 British Empire and Commonwealth Games, however, they are now considered substandard and in need of replacement. For a number of years the State Government and the Town of Cambridge have been negotiating a way in which replacement facilities would be developed with negotiations predicated on the new facilities being funded from the sale of the Perry Lakes land.
The land comprises Lot 712 and is contained within Certificate of Title Volume 2138, Folio 21. An easement for the Serpentine Trunk Main (water supply) exists in favour of the (former) Metropolitan Water Supply, Sewerage and Drainage Board. The Perry Lakes land (the Site) has an area of 1556 hectares.
The land comprises Lot 712 and is contained within Certificate of Title Volume 2138, Folio 21. An easement for the Serpentine Trunk Main (water supply) exists in favour of the (former) Metropolitan Water Supply, Sewerage and Drainage Board. The Perry Lakes land (the Site) has an area of 1556 hectares.
_Records of crystals, kept here for reference_
+++
Entry from Alexandria via LeMat-Bulk: a geometry-optimized Rb4Mg3VF12 structure (PBE+U).

VASP energy   -0.1860 Ha/atom
ρ   4.0 Mg/m³
Space-group type   No. 229
V   288.09 Å³/cell
Size of the total moment   3.0 Bohr magnetons per cell

Geometry as POSCAR:
```
Rb4Mg3VF12
1.0
7.2064 0.0000 0.0000
-2.4021 6.7943 0.0000
-2.4021 -3.3971 5.8840
V F Mg Rb
1 12 3 4
Direct
0.0000 0.0000 0.0000 V
0.5000 0.2500 0.7500 F
0.7500 0.5000 0.2500 F
0.7429 0.0000 0.7429 F
0.0000 0.7429 0.7429 F
0.2571 0.2571 0.0000 F
0.2500 0.5000 0.7500 F
0.7500 0.2500 0.5000 F
0.7429 0.7429 0.0000 F
0.5000 0.7500 0.2500 F
0.2500 0.7500 0.5000 F
0.0000 0.2571 0.2571 F
0.2571 0.0000 0.2571 F
0.0000 0.5000 0.5000 Mg
0.5000 0.0000 0.5000 Mg
0.5000 0.5000 0.0000 Mg
0.5000 0.0000 0.0000 Rb
0.0000 0.5000 0.0000 Rb
0.0000 0.0000 0.5000 Rb
0.5000 0.5000 0.5000 Rb
```


First-principles (SCAN) data for CsNaGe2 at its PBEsol-relaxed geometry, as listed in Alexandria via LeMat-Bulk.

Cell lengths 8.3916, 9.6260, 13.1954 Å; angles 90.00, 111.35, 90.00 degrees
Space group P2_1/c (No. 14)
Unique sites:
Cs1 0.0129 0.0249 0.2785 x4
Cs2 0.1531 0.2029 0.0348 x4
Na1 0.4486 0.5354 0.3135 x4
Na2 0.4499 0.6028 0.8978 x4
Ge1 0.2578 0.5978 0.0560 x4
Ge2 0.2794 0.6896 0.6716 x4
Ge3 0.3104 0.6613 0.4876 x4
Ge4 0.4439 0.2220 0.3547 x4

Summary:
total magnetic moment: 0.00 μB/atom
formation energy: -1.03 eV per formula unit

=====

First-principles (SCAN) data for K5Pt at its PBEsol-relaxed geometry, as listed in Alexandria via LeMat-Bulk.

Cell lengths 4.3426, 4.3426, 14.3979 Å; angles 90.00, 90.00, 90.00 degrees
Space group P4/mmm (No. 123)
Unique sites:
K1 0.0000 0.0000 0.0000 x1
K2 0.0000 0.0000 0.4001 x2
K3 0.5000 0.5000 0.2348 x2
Pt1 0.5000 0.5000 0.5000 x1

Summary:
total magnetic moment: 0.01 μB/atom
energy above the most stable polymorph in this dataset: 0.0 meV per atom
formation energy: 0.55 eV per formula unit

=====

First-principles (SCAN) data for CeSnPd at its PBEsol-relaxed geometry, as listed in Alexandria via LeMat-Bulk.

Cell lengths 7.4324, 7.4324, 4.1428 Å; angles 90.00, 90.00, 120.00 degrees
Space group P-62m (No. 189)
Unique sites:
Ce1 0.0000 0.5860 0.0000 x3
Sn1 0.0000 0.2517 0.5000 x3
Pd1 0.0000 0.0000 0.0000 x1
Pd2 0.3333 0.6667 0.5000 x2

Summary:
total magnetic moment: 0.35 μB/atom
formation energy: -2.80 eV per formula unit

=====

First-principles (SCAN) data for Re3HgF at its PBEsol-relaxed geometry, as listed in Alexandria via LeMat-Bulk.

Cell lengths 4.2254, 4.2254, 4.2254 Å; angles 90.00, 90.00, 90.00 degrees
Space group Pm-3m (No. 221)
Unique sites:
Re1 0.0000 0.0000 0.5000 x3
Hg1 0.5000 0.5000 0.5000 x1
F1 0.0000 0.0000 0.0000 x1

Summary:
total magnetic moment: 0.12 μB/atom
uncorrected energy: -55.277 eV/atom

=====

First-principles (SCAN) data for La2YAg at its PBEsol-relaxed geometry, as listed in Alexandria via LeMat-Bulk.

Cell lengths 4.6553, 4.6553, 5.1473 Å; angles 90.00, 90.00, 90.00 degrees
Space group P4/mmm (No. 123)
Unique sites:
+++
_Here the page continues_
The Site is located in the Town of Cambridge and is approximately 7 kilometres west of the Perth Central Business District. The Site adjoins the existing residential area of Floreat and is bounded by Alderbury Street to the north, Brookdale Street to the east, Underwood Avenue to the south and Meagher Drive to the west.
The Site contains various sporting facilities including a basketball stadium, athletics track, grandstand and associated facilities that were built for the 1962 British Empire and Commonwealth Games. The Site also includes a rugby oval and clubrooms that were built in the mid 1980s.
== Attached: materials data ==
=====
[1]
The following is a GGA-PBE calculation of a relaxed La2Tb2Pr2Sm crystal, from the Alexandria database.

The space group is C2/m (No. 12) and the conventional cell measures 11.5809, 5.1875 and 8.2325 Å, with angles of 90.00, 98.10 and 90.00 degrees. The asymmetric unit holds La at (0.1419, 0.0000, 0.4267), Tb at (0.0708, 0.5000, 0.7147), Pr at (0.2146, 0.5000, 0.1418) and Sm at (0.0000, 0.0000, 0.0000).

As for the energy of formation: 0.021 eV/atom. The magnetization is 0.00 μB/f.u.

***

[2]
The following is a GGA-PBE calculation of a relaxed YHo4TmS8 crystal, from the Alexandria database.

The space group is R3m (No. 160, hexagonal axes) and the conventional cell measures 8.0026, 8.0026 and 19.6165 Å, with angles of 90.00, 90.00 and 120.00 degrees. The asymmetric unit holds Y at (0.0000, 0.0000, 0.0000), Ho at (0.0000, 0.0000, 0.6249), Ho at (0.1669, 0.3339, 0.8330), Tm at (0.0000, 0.0000, 0.3746), S at (0.0000, 0.0000, 0.2429), S at (0.0000, 0.0000, 0.7575), S at (0.0160, 0.5080, 0.7526) and S at (0.1760, 0.3520, 0.5799).

The magnetization is 0.00 μB/f.u. The energy relative to the elements, uncorrected is -1930.4 meV per atom.

***

[3]
The following is a GGA-PBE calculation of a relaxed TlHg2S crystal, from the Alexandria database.

The space group is R-3m (No. 166, hexagonal axes) and the conventional cell measures 3.8605, 3.8605 and 26.8220 Å, with angles of 90.00, 90.00 and 120.00 degrees. The asymmetric unit holds Tl at (0.0000, 0.0000, 0.0000), Hg at (0.0000, 0.0000, 0.1057) and S at (0.0000, 0.0000, 0.5000).

The magnetization is 0.00 μB/f.u. The energy relative to the elements, uncorrected is 136.7 meV per atom.

***

[4]
The following is a GGA-PBE calculation of a relaxed Tl3Sb2Te6Pb crystal, from the Alexandria database.

The space group is C2/m (No. 12) and the conventional cell measures 7.8354, 13.6231 and 8.1992 Å, with angles of 90.00, 108.76 and 90.00 degrees. The asymmetric unit holds Tl at (0.0000, 0.0000, 0.0000), Tl at (0.0000, 0.3398, 0.0000), Sb at (0.0000, 0.1684, 0.5000), Te at (0.2275, 0.0000, 0.7232), Te at (0.2494, 0.1736, 0.2706) and Pb at (0.0000, 0.5000, 0.5000).

The magnetization is 0.00 μB/f.u. The energy relative to the elements, uncorrected is -239.8 meV per atom.

***

[5]
The following is a GGA-PBE calculation of a relaxed ScV3Fe crystal, from the Alexandria database.

The space group is Pm-3m (No. 221) and the conventional cell measures 4.3664, 4.3664 and 4.3664 Å, with angles of 90.00, 90.00 and 90.00 degrees. The asymmetric unit holds Sc at (0.0000, 0.0000, 0.0000), V at (0.0000, 0.5000, 0.5000) and Fe at (0.5000, 0.5000, 0.5000).

As for the energy of formation: 0.497 eV/atom. The magnetization is 0.01 μB/f.u. For the excess energy over the best structure of this formula in the dataset, the calculation gives 0 meV per atom.

***

[6]
The following is a GGA-PBE calculation of a relaxed Sc2TiH6 crystal, from the Alexandria database.
=====
The Site contains various sporting facilities including a basketball stadium, athletics track, grandstand and associated facilities that were built for the 1962 British Empire and Commonwealth Games. The Site also includes a rugby oval and clubrooms that were built in the mid 1980s.
The surrounding land uses include low density residential development to the north and east, Perry Lakes reserve to the west and the offices of the CSIRO and the AK Reserve land to the south.
The Site is located within the existing residential area of Floreat approximately 7 kilometres from the Perth CBD and 3 kilometers from Subiaco.
The Site is located within the existing residential area of Floreat approximately 7 kilometres from the Perth CBD and 3 kilometers from Subiaco.
Given the Site’s location there are already a significant number of existing community facilities located within close proximity of the Site including Cambridge Library and the Boulevard Community Centre. Retail and commercial services including restaurants and cafes are located within walking distance of the Site at the newly refurbished Floreat Forum.
Floreat Park Primary School is located 1 kilometer north of the Site on Brookdale Street and Shenton College is located 2 kilometres to the south. The Department for Education and Training has advised that all future students from the development will be able to be accommodated at Floreat Park Primary School and Shenton College.
District recreation amenities including Challenge Stadium, Bold Park Aquatic Centre, Floreat and City Beaches, Perry Lakes Reserve and Wembley Golf Course are all located within 3 kilometres of the Site.
Land uses that immediately surround the Site include low density large lot single residential development to the north and east, Perry Lakes recreation reserve to the west and CSIRO and the AK Reserve land to the south.
Under the Perry Lakes Redevelopment Act 2005 the AK Reserve Minister (supported by the Department of Sport and Recreation and the Department of Housing and Works) is responsible for building new sporting facilities for athletics, rugby and basketball on the AK Reserve land and adjacent land that may be included in the AK redevelopment area.